**Given**
=====
Here is a cluster of 11 separate species, C26H75NO22 in total in a non-equilibrium geometry from the OMol25 dataset. Energies are from the ωB97M-V functional and the def2-TZVPD basis.

Structure (XYZ):
```
124
Properties=species:S:1:pos:R:3:forces:R:3
O -1.65714 -5.85629 -19.93821 0.71 -0.29 0.64
O -5.50171 -0.85825 -12.22426 0.32 -1.39 -0.01
O -5.47591 -7.86959 -10.77502 0.35 -1.12 0.61
O -5.36607 -9.81792 -16.31451 -0.35 0.30 0.49
O -2.24215 -7.09806 -17.40846 0.36 -0.45 0.97
O -1.92541 -5.23978 -15.25481 0.05 1.16 -0.02
O -4.18358 -9.73983 -20.82078 0.85 1.07 -0.06
O -6.06163 -4.95746 -19.30695 0.42 0.13 -0.33
O 0.70217 -6.21068 -15.72844 -0.70 0.62 -1.63
O 0.59605 -9.77740 -17.34297 1.92 -0.46 -0.68
O -8.40774 -9.36019 -15.46931 0.70 0.27 0.03
O -5.52840 -1.61881 -15.41057 -0.18 -0.62 0.22
O -0.44731 -2.98646 -15.94954 0.06 -0.27 -0.30
O -1.65009 -10.11344 -22.64644 0.21 -1.49 0.27
O 0.72285 -11.91896 -19.41782 0.71 0.29 -0.23
O -1.73231 -0.52256 -15.37070 0.26 -0.17 -0.67
O -1.07740 -6.28914 -10.28874 0.40 1.25 -1.27
O -1.03836 -8.74096 -15.53502 0.36 -0.53 0.41
O -7.76012 -9.43087 -18.17574 1.53 0.04 -0.13
O -6.06497 -7.45705 -15.36375 1.17 2.13 0.05
O 0.31461 -4.10207 -21.31527 0.59 -0.25 0.16
O -8.56555 -3.26821 -18.68904 0.47 -0.10 0.63
N -3.64431 -5.59363 -11.27813 1.80 -2.15 -3.59
C -0.07490 -9.81258 -18.56066 -0.28 0.07 -1.12
C -4.81199 -5.90511 -12.09000 -1.36 0.46 1.36
C -2.39157 -5.19412 -11.99940 -0.48 1.44 1.04
C -6.53658 -4.57108 -18.02439 -0.36 0.76 0.22
C -4.92036 -2.31479 -14.33516 -0.79 1.41 1.91
C -6.40604 -8.96073 -18.36107 -1.06 0.24 -0.25
C -3.17027 -5.81290 -15.55301 -0.47 -0.77 0.12
C -8.39153 -7.96022 -15.23308 -1.64 0.63 0.93
C -5.85272 -6.60715 -11.21089 -1.56 0.28 0.00
C -4.53147 -1.24128 -13.20912 0.07 0.27 -1.18
C -3.32093 -6.27380 -17.00787 -0.50 -0.04 -0.17
C -1.30284 -2.38174 -16.90404 0.09 0.36 1.10
C -7.26935 -3.19274 -18.08235 0.40 -0.57 -0.88
C 0.92479 -7.33013 -14.95273 0.34 -0.77 2.21
C -2.95887 -8.95112 -20.78337 0.30 -1.11 -1.80
C -7.16200 -7.42540 -14.51779 -0.29 -1.46 -1.13
C -2.15960 -8.91768 -22.15538 -0.98 0.82 0.78
C -1.20709 -0.91640 -16.64954 -0.93 0.60 -0.50
C -5.29318 -9.78768 -17.74684 0.38 -0.68 -0.31
C -0.22544 -6.05422 -19.89976 0.79 1.16 -0.91
C 0.01502 -6.24940 -9.34330 -0.39 0.35 -0.31
C -0.30068 -8.13371 -14.49817 0.01 0.23 0.10
C -6.52499 -8.61488 -10.06875 0.63 -0.07 -0.27
C 0.48145 -4.60740 -19.98307 -1.89 -1.63 -0.65
C 0.64966 -10.52962 -19.73785 -0.64 -0.38 0.95
C -1.17351 -5.07777 -11.10611 -0.35 -1.15 1.40
H -2.32197 -9.33467 -19.98629 0.10 0.15 0.06
H -1.81861 -5.19422 -20.61437 -0.31 -0.11 -0.10
H -4.78372 -1.18157 -15.82994 -0.03 0.34 -0.34
H 0.06224 -6.69310 -19.06479 -0.28 0.55 0.52
H -4.02895 -5.20251 -15.27338 0.23 0.75 -0.38
H -1.02822 -2.58784 -17.93855 0.05 -0.21 -0.07
H -5.26887 -10.84055 -18.02783 -0.37 0.08 -0.66
H -7.90674 -9.75587 -14.75234 0.03 -0.47 0.01
H -0.29008 -8.81590 -18.94593 -0.06 0.51 0.03
H -4.33344 -0.33041 -13.77411 0.70 -0.04 -0.02
H -3.42211 -6.46529 -10.81886 0.17 -0.19 1.85
H -8.46543 -3.73956 -19.51934 -0.03 0.06 -0.18
H -1.87620 -0.45767 -17.37753 0.11 0.43 -0.03
H -6.13369 -9.59008 -9.77898 0.58 0.35 0.11
H -1.27814 -4.23261 -10.42578 0.03 0.24 -0.04
H -4.58317 -6.58883 -12.90747 0.74 -0.11 -0.27
H -1.26892 -5.74136 -15.74373 0.71 -0.17 -0.27
H -0.18775 -0.60323 -16.87530 0.10 0.35 0.49
H 1.68457 -7.96689 -15.40591 -0.29 -0.42 -0.12
H -1.28751 -8.26932 -22.07055 -0.27 0.76 0.49
H -0.13739 -4.00837 -19.31501 0.54 0.23 0.43
H -3.39326 -5.46841 -17.73876 0.08 0.55 0.38
H -4.26431 -6.80902 -17.11592 -0.12 -0.17 0.26
H -1.17779 -0.88653 -14.67670 0.24 -0.16 -0.05
H -1.04643 -10.28361 -18.41114 -0.19 -0.34 -0.25
H -6.11403 -5.94653 -10.38421 0.08 0.14 0.36
H -9.22102 -7.74514 -14.55945 -0.38 0.13 0.16
H -2.33663 -2.66140 -16.70117 -0.20 -0.35 -0.26
H -1.15818 -9.83478 -23.42231 0.11 -0.52 -0.18
H -4.55670 -10.24396 -16.02294 0.02 -0.04 0.23
H 0.95075 -5.84383 -9.72804 0.03 -0.31 -0.73
=====

**Wanted**
Work out how many lines further up have the word "XYZ" in them; a number is enough.

**Outcome**
1